_Entries_
=====
# 1
Structure and computed powder diffractogram of AcDy3 (a DFT-relaxed cell (GGA-PBE, Alexandria); Cu Kα (weighted mean of Kα1 and Kα2)).

Structure:
abc: 7.4173 7.4173 5.8504
angles: 90.00 90.00 120.00
Positions (direct):
Ac (0.3333, 0.6667, 0.2500)
Ac (0.6667, 0.3333, 0.7500)
Dy (0.1622, 0.3243, 0.7500)
Dy (0.1622, 0.8378, 0.7500)
Dy (0.3243, 0.1622, 0.2500)
Dy (0.6757, 0.8378, 0.7500)
Dy (0.8378, 0.1622, 0.2500)
Dy (0.8378, 0.6757, 0.2500)

Largest 6 diffraction maxima, sorted by position, 15° ≤ 2θ ≤ 90°:
- 27.78 deg, I 24
- 30.56 deg, I 25
- 31.78 deg, I 100
- 49.13 deg, I 20
- 55.09 deg, I 21
- 58.98 deg, I 23

***

# 2
Structure and computed powder diffractogram of LiMgSn2Te4 (a DFT-relaxed cell (GGA-PBE, Alexandria); Cu Kα (weighted mean of Kα1 and Kα2)).

Structure:
abc: 7.4985 4.3118 7.5571
angles: 90.00 109.22 90.00
Positions (direct):
Li (0.0000, 0.0000, 0.0000)
Mg (0.5000, 0.5000, 0.0000)
Sn (0.0000, 0.5000, 0.5000)
Sn (0.5000, 0.0000, 0.5000)
Te (0.2475, 0.5000, 0.2340)
Te (0.2579, 0.0000, 0.7678)
Te (0.7421, 0.0000, 0.2322)
Te (0.7525, 0.5000, 0.7660)

Largest 6 diffraction maxima, sorted by position, 15° ≤ 2θ ≤ 90°:
- 24.15 deg, I 14
- 29.12 deg, I 100
- 41.49 deg, I 37
- 41.77 deg, I 25
- 41.90 deg, I 13
- 51.83 deg, I 13

***

# 3
Structure and computed powder diffractogram of ZrW (a DFT-relaxed cell (GGA-PBE, Alexandria); Cu Kα (weighted mean of Kα1 and Kα2)).

Structure:
abc: 5.4776 5.4776 7.1796
angles: 109.87 109.87 34.77
Positions (direct):
Zr (0.0000, 0.0000, 0.0000)
Zr (0.3295, 0.3295, 0.1898)
Zr (0.6705, 0.6705, 0.8102)
W (0.0000, 0.0000, 0.5000)
W (0.3371, 0.3371, 0.6382)
W (0.6629, 0.6629, 0.3618)

Largest 6 diffraction maxima, sorted by position, 15° ≤ 2θ ≤ 90°:
- 37.02 deg, I 49
- 37.18 deg, I 100
- 37.54 deg, I 50
- 39.02 deg, I 95
- 69.25 deg, I 30
- 69.95 deg, I 17

***

# 4
Structure and computed powder diffractogram of LiSbPO2F6 (a DFT-relaxed cell (GGA-PBE, Alexandria); Cu Kα (weighted mean of Kα1 and Kα2)).

Structure:
abc: 6.7431 7.3842 8.0634
angles: 93.58 109.98 95.88
Positions (direct):
Li (0.0000, 0.0000, 0.0000)
Li (0.1290, 0.5806, 0.5649)
Sb (0.2464, 0.0894, 0.6735)
Sb (0.2556, 0.4454, 0.1778)
P (0.4708, 0.8687, 0.2336)
P (0.8589, 0.5957, 0.8629)
O (0.0820, 0.5420, 0.9548)
O (0.2696, 0.9358, 0.1404)
O (0.4815, 0.6596, 0.2247)
O (0.8064, 0.7721, 0.9180)
F (0.0212, 0.0704, 0.7796)
F (0.0285, 0.2463, 0.1266)
F (0.0530, 0.0081, 0.4358)
F (0.1199, 0.5798, 0.3140)
F (0.1506, 0.3450, 0.6191)
F (0.2329, 0.8048, 0.6947)
F (0.3920, 0.3214, 0.0426)
F (0.4231, 0.3532, 0.3880)
F (0.5622, 0.9358, 0.4357)
F (0.6555, 0.9464, 0.1750)
F (0.6946, 0.4318, 0.8637)
F (0.8340, 0.5745, 0.6617)

Largest 6 diffraction maxima, sorted by position, 15° ≤ 2θ ≤ 90°:
- 15.99 deg, I 54
- 18.81 deg, I 100
- 19.62 deg, I 56
- 22.87 deg, I 71
- 23.01 deg, I 71
- 23.61 deg, I 45

***

# 5
Structure and computed powder diffractogram of Pm3SmGe2 (a DFT-relaxed cell (GGA-PBE, Alexandria); Cu Kα (weighted mean of Kα1 and Kα2)).

Structure:
abc: 4.4696 4.4696 8.3372
angles: 90.00 90.00 90.00
Positions (direct):
Pm (0.0000, 0.0000, 0.0000)
Pm (0.0000, 0.5000, 0.6421)
Pm (0.5000, 0.0000, 0.3579)
Sm (0.5000, 0.5000, 0.0000)
Ge (0.0000, 0.5000, 0.2769)
Ge (0.5000, 0.0000, 0.7231)

Largest 6 diffraction maxima, sorted by position, 15° ≤ 2θ ≤ 90°:
- 29.30 deg, I 24
- 30.24 deg, I 100
- 32.21 deg, I 33
- 35.65 deg, I 63
- 40.36 deg, I 49
- 52.56 deg, I 50

***

# 6
Structure and computed powder diffractogram of KCa3 (a DFT-relaxed cell (GGA-PBE, Alexandria); Cu Kα (weighted mean of Kα1 and Kα2)).

Structure:
abc: 3.8596 6.4451 7.6621
angles: 90.00 99.96 90.00
Positions (direct):
K (0.0000, 0.0000, 0.0000)
Ca (0.2380, 0.5000, 0.7333)
Ca (0.5000, 0.0000, 0.5000)
Ca (0.7620, 0.5000, 0.2666)

Largest 6 diffraction maxima, sorted by position, 15° ≤ 2θ ≤ 90°:
- 27.39 deg, I 70
- 27.68 deg, I 35
- 28.05 deg, I 100
- 39.82 deg, I 24
- 48.78 deg, I 12
- 48.82 deg, I 24

***

# 7
=====
_What to do_
Reproduce the whole of the listing further up unchanged, please.
_Reply_
# 1
Structure and computed powder diffractogram of AcDy3 (a DFT-relaxed cell (GGA-PBE, Alexandria); Cu Kα (weighted mean of Kα1 and Kα2)).

Structure:
abc: 7.4173 7.4173 5.8504
angles: 90.00 90.00 120.00
Positions (direct):
Ac (0.3333, 0.6667, 0.2500)
Ac (0.6667, 0.3333, 0.7500)
Dy (0.1622, 0.3243, 0.7500)
Dy (0.1622, 0.8378, 0.7500)
Dy (0.3243, 0.1622, 0.2500)
Dy (0.6757, 0.8378, 0.7500)
Dy (0.8378, 0.1622, 0.2500)
Dy (0.8378, 0.6757, 0.2500)

Largest 6 diffraction maxima, sorted by position, 15° ≤ 2θ ≤ 90°:
- 27.78 deg, I 24
- 30.56 deg, I 25
- 31.78 deg, I 100
- 49.13 deg, I 20
- 55.09 deg, I 21
- 58.98 deg, I 23

***

# 2
Structure and computed powder diffractogram of LiMgSn2Te4 (a DFT-relaxed cell (GGA-PBE, Alexandria); Cu Kα (weighted mean of Kα1 and Kα2)).

Structure:
abc: 7.4985 4.3118 7.5571
angles: 90.00 109.22 90.00
Positions (direct):
Li (0.0000, 0.0000, 0.0000)
Mg (0.5000, 0.5000, 0.0000)
Sn (0.0000, 0.5000, 0.5000)
Sn (0.5000, 0.0000, 0.5000)
Te (0.2475, 0.5000, 0.2340)
Te (0.2579, 0.0000, 0.7678)
Te (0.7421, 0.0000, 0.2322)
Te (0.7525, 0.5000, 0.7660)

Largest 6 diffraction maxima, sorted by position, 15° ≤ 2θ ≤ 90°:
- 24.15 deg, I 14
- 29.12 deg, I 100
- 41.49 deg, I 37
- 41.77 deg, I 25
- 41.90 deg, I 13
- 51.83 deg, I 13

***

# 3
Structure and computed powder diffractogram of ZrW (a DFT-relaxed cell (GGA-PBE, Alexandria); Cu Kα (weighted mean of Kα1 and Kα2)).

Structure:
abc: 5.4776 5.4776 7.1796
angles: 109.87 109.87 34.77
Positions (direct):
Zr (0.0000, 0.0000, 0.0000)
Zr (0.3295, 0.3295, 0.1898)
Zr (0.6705, 0.6705, 0.8102)
W (0.0000, 0.0000, 0.5000)
W (0.3371, 0.3371, 0.6382)
W (0.6629, 0.6629, 0.3618)

Largest 6 diffraction maxima, sorted by position, 15° ≤ 2θ ≤ 90°:
- 37.02 deg, I 49
- 37.18 deg, I 100
- 37.54 deg, I 50
- 39.02 deg, I 95
- 69.25 deg, I 30
- 69.95 deg, I 17

***

# 4
Structure and computed powder diffractogram of LiSbPO2F6 (a DFT-relaxed cell (GGA-PBE, Alexandria); Cu Kα (weighted mean of Kα1 and Kα2)).

Structure:
abc: 6.7431 7.3842 8.0634
angles: 93.58 109.98 95.88
Positions (direct):
Li (0.0000, 0.0000, 0.0000)
Li (0.1290, 0.5806, 0.5649)
Sb (0.2464, 0.0894, 0.6735)
Sb (0.2556, 0.4454, 0.1778)
P (0.4708, 0.8687, 0.2336)
P (0.8589, 0.5957, 0.8629)
O (0.0820, 0.5420, 0.9548)
O (0.2696, 0.9358, 0.1404)
O (0.4815, 0.6596, 0.2247)
O (0.8064, 0.7721, 0.9180)
F (0.0212, 0.0704, 0.7796)
F (0.0285, 0.2463, 0.1266)
F (0.0530, 0.0081, 0.4358)
F (0.1199, 0.5798, 0.3140)
F (0.1506, 0.3450, 0.6191)
F (0.2329, 0.8048, 0.6947)
F (0.3920, 0.3214, 0.0426)
F (0.4231, 0.3532, 0.3880)
F (0.5622, 0.9358, 0.4357)
F (0.6555, 0.9464, 0.1750)
F (0.6946, 0.4318, 0.8637)
F (0.8340, 0.5745, 0.6617)

Largest 6 diffraction maxima, sorted by position, 15° ≤ 2θ ≤ 90°:
- 15.99 deg, I 54
- 18.81 deg, I 100
- 19.62 deg, I 56
- 22.87 deg, I 71
- 23.01 deg, I 71
- 23.61 deg, I 45

***

# 5
Structure and computed powder diffractogram of Pm3SmGe2 (a DFT-relaxed cell (GGA-PBE, Alexandria); Cu Kα (weighted mean of Kα1 and Kα2)).

Structure:
abc: 4.4696 4.4696 8.3372
angles: 90.00 90.00 90.00
Positions (direct):
Pm (0.0000, 0.0000, 0.0000)
Pm (0.0000, 0.5000, 0.6421)
Pm (0.5000, 0.0000, 0.3579)
Sm (0.5000, 0.5000, 0.0000)
Ge (0.0000, 0.5000, 0.2769)
Ge (0.5000, 0.0000, 0.7231)

Largest 6 diffraction maxima, sorted by position, 15° ≤ 2θ ≤ 90°:
- 29.30 deg, I 24
- 30.24 deg, I 100
- 32.21 deg, I 33
- 35.65 deg, I 63
- 40.36 deg, I 49
- 52.56 deg, I 50

***

# 6
Structure and computed powder diffractogram of KCa3 (a DFT-relaxed cell (GGA-PBE, Alexandria); Cu Kα (weighted mean of Kα1 and Kα2)).

Structure:
abc: 3.8596 6.4451 7.6621
angles: 90.00 99.96 90.00
Positions (direct):
K (0.0000, 0.0000, 0.0000)
Ca (0.2380, 0.5000, 0.7333)
Ca (0.5000, 0.0000, 0.5000)
Ca (0.7620, 0.5000, 0.2666)

Largest 6 diffraction maxima, sorted by position, 15° ≤ 2θ ≤ 90°:
- 27.39 deg, I 70
- 27.68 deg, I 35
- 28.05 deg, I 100
- 39.82 deg, I 24
- 48.78 deg, I 12
- 48.82 deg, I 24

***

# 7